Close your eyes and picture a swastika. What comes to mind is probably a Nazi flag, or an armband on the uniform of a German soldier, or perhaps a skinhead chanting “Jews will not replace us” in Charlottesville, Va. For me, I see death camps and millions of my people brutalized, dehumanized and murdered for no reason other than who they were. Now, the Student Union president at Brandeis University wants to destigmatize the swastika and force Jewish students to confront this evil symbol on campus, no matter how uncomfortable it makes them.
As president of the student union, Simran Tatuskar shoulders important responsibilities on campus. Instead of working for the good of Brandeis’ collective student population, however, she has decided to focus her energy on a crusade for the rehabilitation of the most universally recognized hate symbol in the western world.
• Between two parts of the entry: materials data:
........
Entry 1:
Compound: BaAg2GeTe3Se
Source: OQMD
Functional: PBE
Structure: optimized geometry

Cell lengths 6.920, 6.921, 7.026 Å; angles 112.00, 115.35, 100.65 degrees
Fractional coordinates of all 8 atoms:
1 Ba 0.000 0.000 0.000
2 Ag 0.195 0.685 0.506
3 Ag 0.816 0.311 0.482
4 Ge 0.508 0.478 0.000
5 Te 0.131 0.513 0.982
6 Te 0.477 0.463 0.607
7 Te 0.864 0.855 0.392
8 Se 0.534 0.139 0.007

---

Entry 2:
Compound: HfRePt
Source: OQMD
Functional: PBE
Structure: optimized geometry

Cell lengths 4.383, 4.383, 4.383 Å; angles 60.00, 60.00, 60.00 degrees
Fractional coordinates of all 3 atoms:
1 Hf 0.000 0.000 0.000
2 Re 0.250 0.250 0.250
3 Pt 0.750 0.750 0.750

Results
Total magnetization   0.48 μB/f.u.

---

Entry 3:
Compound: Mg5Pa
Source: OQMD
Functional: PBE
Structure: optimized geometry

Cell lengths 5.673, 5.673, 5.115 Å; angles 90.00, 90.00, 120.00 degrees
Fractional coordinates of all 6 atoms:
1 Mg 0.000 0.632 0.000
2 Mg 0.333 0.667 0.500
3 Mg 0.368 0.368 0.000
4 Mg 0.632 0.000 0.000
5 Mg 0.667 0.333 0.500
6 Pa 0.000 0.000 0.500

Results
Total magnetization   1.39 μB/f.u.

---

Entry 4:
Compound: ReBi
Source: OQMD
Functional: PBE
Structure: optimized geometry

Cell lengths 5.135, 4.585, 8.296 Å; angles 90.00, 90.00, 90.00 degrees
Fractional coordinates of all 8 atoms:
1 Re 0.000 0.000 0.000
2 Re 0.250 0.500 0.063
3 Re 0.500 0.000 0.000
4 Re 0.750 0.500 0.937
5 Bi 0.250 0.000 0.321
6 Bi 0.250 0.500 0.724
7 Bi 0.750 0.000 0.679
8 Bi 0.750 0.500 0.276

Results
Total magnetization   0.01 μB/f.u.

---

Entry 5:
Compound: Dy3InNiSn2Pt2
Source: OQMD
Functional: PBE
Structure: optimized geometry

Cell lengths 3.748, 7.677, 7.677 Å; angles 120.25, 90.00, 90.00 degrees
Fractional coordinates of all 9 atoms:
1 Dy 0.000 0.000 0.000
2 Dy 0.000 0.185 0.589
3 Dy 0.000 0.589 0.185
4 In 0.500 0.340 0.340
5 Ni 0.000 0.600 0.600
6 Sn 0.500 0.590 0.842
7 Sn 0.500 0.842 0.590
8 Pt 0.500 0.258 0.924
9 Pt 0.500 0.924 0.258

Results
Total magnetization   0.00 μB/f.u.

---

Entry 6:
Compound: BaCuSiNi
Source: OQMD
Functional: PBE
Structure: optimized geometry

Cell lengths 4.117, 4.117, 11.302 Å; angles 90.00, 90.00, 120.00 degrees
Fractional coordinates of all 8 atoms:
1 Ba 0.333 0.667 0.000
2 Ba 0.667 0.333 0.500
3 Cu 0.333 0.667 0.720
4 Cu 0.667 0.333 0.220
5 Si 0.000 0.000 0.261
6 Si 0.000 0.000 0.761
7 Ni 0.333 0.667 0.281
8 Ni 0.667 0.333 0.781

Results
Total magnetization   0.00 μB/f.u.

---

Entry 7:
Compound: GaSn2Pd6
Source: OQMD
Functional: PBE
Structure: optimized geometry

Cell lengths 7.217, 7.217, 3.355 Å; angles 90.00, 90.00, 120.00 degrees
Fractional coordinates of all 9 atoms:
1 Ga 0.000 0.000 0.000
2 Sn 0.333 0.667 0.500
3 Sn 0.667 0.333 0.500
4 Pd 0.000 0.380 0.000
5 Pd 0.000 0.735 0.500
6 Pd 0.265 0.265 0.500
7 Pd 0.380 0.000 0.000
8 Pd 0.620 0.620 0.000
9 Pd 0.735 0.000 0.500

---

Entry 8:
Compound: BeTlIrPb
Source: OQMD
Functional: PBE
Structure: optimized geometry

Cell lengths 4.787, 4.787, 4.787 Å; angles 60.00, 60.00, 60.00 degrees
........
• Here the entry continues:
Tatuskar argues that the swastika is not actually a hate symbol at all, but rather a peaceful icon that should be included in school curricula. This could not be further from the truth. Normalizing the swastika is tantamount to expunging the most painful chapter of Jewish history. Ironically, minimizing Jewish suffering throughout history is exactly what the Nazis did to justify their persecution and extermination of their Jewish neighbors.
### Attached: crystal structures
=====
Entry 1:
Below is a geometry-optimized Y3MgPd12 structure, with properties calculated at the GGA-PBE level.

Computed properties:
Calculated volume (Å³ per cell): 274
Energy of formation from the pure elements (eV/atom): -0.746
DOS at the Fermi energy (states/eV/cell): 14.48

Lattice parameters (Å, degrees): 4.1022 4.1022 16.3116 90.00 90.00 90.00
Sites, in units of the cell vectors:
Pd: 0.5000 0.0000 0.3723
Pd: 0.0000 0.5000 0.6277
Pd: 0.5000 0.0000 0.1165
Pd: 0.5000 0.0000 0.8835
Pd: 0.5000 0.0000 0.6277
Pd: 0.5000 0.5000 0.7550
Pd: 0.0000 0.5000 0.8835
Pd: 0.5000 0.5000 0.5000
Pd: 0.5000 0.5000 0.0000
Pd: 0.5000 0.5000 0.2450
Pd: 0.0000 0.5000 0.1165
Pd: 0.0000 0.5000 0.3723
Y: 0.0000 0.0000 0.5000
Y: 0.0000 0.0000 0.2436
Y: 0.0000 0.0000 0.7564
Mg: 0.0000 0.0000 0.0000


Entry 2:
Below is a geometry-optimized YMgPd4 structure, with properties calculated at the GGA-PBE level.

Computed properties:
Calculated volume (Å³ per cell): 105
Energy of formation from the pure elements (eV/atom): -0.658
DOS at the Fermi energy (states/eV/cell): 2.08

Lattice parameters (Å, degrees): 3.7653 5.1340 6.7116 105.46 73.71 68.49
Sites, in units of the cell vectors:
Pd: 0.6474 0.0203 0.6848
Pd: 0.3526 0.9797 0.3152
Pd: 0.1864 0.4751 0.1521
Pd: 0.8136 0.5249 0.8479
Mg: 0.0000 0.0000 0.0000
Y: 0.5000 0.5000 0.5000

=====

# LiGa2OsO8

A geometry-optimized LiGa2OsO8 structure (PBE-GGA, Alexandria).

- energy (eV/atom) = -6.1263
- ΔE_f (raw) (eV per atom) = -1.221

abc: 4.8208 4.3721 6.0173
angles: 90.00 90.00 91.36
Element x y z (fractional)
Ga  0.5000  0.5000  0.2562
Os  0.0000  0.0000  0.0000
O  0.1568  0.7666  0.2190
O  0.6713  0.7318  0.0000
O  0.3287  0.2682  0.0000
O  0.8432  0.2333  0.2190
O  0.1568  0.7667  0.7810
O  0.6334  0.7575  0.5000
O  0.3666  0.2425  0.5000
Ga  0.5000  0.5000  0.7438
O  0.8432  0.2334  0.7810
Li  0.0000  0.0000  0.5000

=====

ZrAs2Pb | SCAN | PBEsol geometry

abc: 3.586 3.787 7.386
angles: 104.85 104.05 90.00
Fractional positions:
Pb 0.458 0.458 0.917
Zr 0.710 0.210 0.419
As 0.269 0.769 0.539
As 0.063 0.063 0.126

Properties
- Total magnetic moment: 0.000 μB per formula unit
- ΔH_f (0 K): -468 meV per atom
- Density: 7.93 g/cm³
- Crystal system: orthorhombic

=====

Record 1
Compound: NaNdTeS
Source: Alexandria via LeMat-Bulk
Functional: PBE-GGA
Structure: relaxed

Cell and atoms, written as POSCAR:
```
NaNdTeS
1.0
2.1628 1.2487 7.1805
-2.1628 1.2487 7.1805
0.0000 -2.4974 7.1805
Na Nd Te S
1 1 1 1
Direct
0.0000 0.0000 0.0000
0.5165 0.5165 0.5165
0.7591 0.7591 0.7591
0.2489 0.2489 0.2489
```

Record 2
Compound: Sc4AlIn
Source: Alexandria via LeMat-Bulk
Functional: PBE-GGA
Structure: relaxed

Cell and atoms, written as POSCAR:
```
Sc4AlIn
1.0
0.0000 4.1068 4.1068
4.1068 0.0000 4.1068
4.1068 4.1068 0.0000
Sc Al In
4 1 1
Direct
0.1246 0.1246 0.1246
0.1246 0.1246 0.6262
0.1246 0.6262 0.1246
0.6262 0.1246 0.1246
0.7500 0.7500 0.7500
0.5000 0.5000 0.5000
```

energy relative to the elements	80.3	kJ/mol of formula units

Record 3
=====
Tatuskar has since apologized for her rhetoric, saying that she regrets the “misunderstandings” that her advocacy caused, but nevertheless went on to defend her position. She said she wanted to “show the visual differences of the left-facing hooked cross Nazi swastika and the right-facing Hindu/Buddhist/Jain swastika for those who were unaware of the difference.” But the truth is, Tatuskar is not Jewish and has no idea the pain and suffering that the image of the swastika involves for my family, my Jewish friends and me. To have a non-Jew attempt to erase my experience of this symbol is an injustice one would never dare attempt with another minority group.
Tatuskar’s actions, oddly enough, were prompted by the now-passed New York State legislation that would add the study of “symbols of hate, including the swastika and the noose” to middle school and high school curricula. Brandeis should seriously question why a student leader at a Massachusetts University is spending her time reaching across state lines to protect hate symbols from scrutiny. Advocating for the promotion of the swastika is unbecoming of any student, let alone one in a position of influence and power on campus, specifically at a time when anti-Semitism is hitting unprecedented levels in the United States.
It’s time the Brandeis administration on campus speak up to condemn Simran Tatuskar for her inexplicable defense of a Nazi symbol.
Liora Rez is an alumna of Brandeis University.